690 Krishi Vigyan Kendras mandated for conducting front line demonstration at the farmer’s field, technology refinement, training and capacity building: Shri Shekhawat


The Minister of State for Agriculture and farmers welfare Shri Gajendra Singh Shekhawat in a written reply to the question on development of new farm technologies in Lok Sabha stated that the Indian Council of Agricultural Research (ICAR) has overall 102 institutions comprising of 67 Research Institutes, 6 Bureaux, 14 Directorates and 15 National Research Centres mandated for conducting research in agriculture and allied areas besides 11 Agricultural Technology Application and Research Institutes (ATARIs) and 81 AICRPs/Network Projects mandated for coordinating, refining and demonstrating Agricultural Technologies/ innovation in the country. ICAR is giving focused attention towards development, promotion and propagation of new technologies i.e. high yielding and multi-stress resistant/tolerant varieties/hybrids using conventional and genomic tools in major crops; multi-nutrients rich varieties of rice, wheat, maize, lentil and pearl millet and improved quality of mustard and soybean; blast resistant wheat varieties; transgenic varieties in cotton, pigeonpea and chickpea; exploitation of gene editing technology for improving desired traits in rice and wheat and development of extra-early/early maturing varieties of pulses especially mungbean and pigeonpea.

The technologies developed in farm sector across the country during the last three years and the current year are:-

The research efforts of the Institutes/Centres/AICRPs have led to the development and release of 748 high yielding, stresses (biotic & abiotic) tolerant varieties/hybrids in different field crops for cultivation under different agro-climatic conditions during 2014-2017. Besides, 130 improved varieties of 54 important horticultural crops and 105 improved crop management technologies and package of practices for horticultural crops were also developed. More than 3.50 lakh quintals of breeder seeds of improved varieties of field crops and 18.5 lakh grafted plants, 12 lakh rooted cuttings and tuber crops, 90 tonnes of breeder/truthfully labelled seeds of vegetable crops, 5500 tonnes of breeders seed of potato and tropical tuber crops were produced and distributed during the period (2014-2017) for sustaining the effective seed chain in the states. These varieties and improved management practices have contributed significantly in increasing the production in field crops e.g. the production of total food grain increased from 252.02 million tons in 2014-15 to 275.68 million tons in 2016-17. The vegetable production increased from 166.6 million tonnes in 2014-15 to 176.2 million tonnes in 2016-2017. Similarly fruits production increased from 89.5 million tonnes in 2014-15 to 93.7 million tonnes in 2016-2017.

During the last 3.5 years ICAR developed 13 improved poultry, pig and sheep varieties and released (4 backyard poultry: Kamrupa in Assam, Narmadanidhi in MP, Jharsim in Chhattisgarh and Himsamridhi in HP; 8 pig varieties: HD-K75, Rani and Asha in Assam; Jharsuk in Jharkhand; Mannuthy White in Kerala; Lumsniang in Meghalaya; TANUVAS KTM Gold Crossbred Pig (Large White Yorkshire x Desi) in Tamil Nadu and “SVVU-T 17 Crossbred Pig”, (Large White Yorkshire x Desi) in Telangana and Avishan breed of Sheep suitable for rearing in dry zones of the country.

Developed 36 diagnostics and 9 vaccines / vaccine candidates for prevention and control of diseases (Diagnostics: JE, Brucellosis, FMD, Theileriosis, Listeriosis, Avian Influenza, E. coli in neo-natal kids, type-specific ELISA kit for differentiation of EHV1 & amp; 4 Infection, Equine piroplasmosis, Sandwich ELISA for PPR antigen with high sensitivity (95.34 to 96.81%), for detection of 1- 10 5 ppt AFM1 in milk, etc. Vaccines: PPR, Sheep pox, Equiherpabort, Updated equine influenza vaccine, Classical swine fever and Johne’s disease etc.). In addition, more than 145 new animal husbandry technologies were also developed by ICAR during the last 3.5 years.

# 1
For Fe46B3C9, the PBE geometry in Alexandria gives the computed X-ray powder pattern in this record (Cu Kα (λ = 1.5418 Å)).
Peak positions follow from Bragg's law for the DFT cell and can differ from measured ones.

Crystal structure
```
data_Fe46B3C9
_chemical_formula_sum 'Fe46 B3 C9'
_cell_length_a 7.4223
_cell_length_b 7.4300
_cell_length_c 12.8521
_cell_angle_alpha 73.49
_cell_angle_beta 73.39
_cell_angle_gamma 60.12
_symmetry_space_group_name_H-M 'P 1'
_symmetry_Int_Tables_number 1
loop_
_symmetry_equiv_pos_as_xyz
'x,y,z'
loop_
_atom_site_label
_atom_site_fract_x
_atom_site_fract_y
_atom_site_fract_z
Fe1 0.0000 0.0000 0.0000
Fe2 0.0003 0.6548 0.3406
Fe3 0.0015 0.9932 0.3393
Fe4 0.0047 0.3248 0.6707
Fe5 0.0076 0.9870 0.6706
Fe6 0.0465 0.7005 0.5456
Fe7 0.0953 0.2817 0.8629
Fe8 0.0977 0.7538 0.8615
Fe9 0.1304 0.2485 0.3626
Fe10 0.1676 0.8212 0.1675
Fe11 0.1705 0.1612 0.1710
Fe12 0.1731 0.4795 0.1734
Fe13 0.2166 0.3959 0.9808
Fe14 0.2428 0.3687 0.4783
Fe15 0.2460 0.9019 0.4778
Fe16 0.2996 0.9495 0.7956
Fe17 0.3234 0.3249 0.6706
Fe18 0.3294 0.6696 0.6685
Fe19 0.3388 0.6561 0.3389
Fe20 0.3408 0.9939 0.0012
Fe21 0.3472 0.6533 0.9999
Fe22 0.3607 0.0162 0.5956
Fe23 0.4783 0.1324 0.2472
Fe24 0.4986 0.5009 0.4990
Fe25 0.5041 0.1491 0.8418
Fe26 0.5060 0.4947 0.8407
Fe27 0.5078 0.8244 0.1707
Fe28 0.5105 0.4847 0.1707
Fe29 0.5485 0.1992 0.0468
Fe30 0.5938 0.7856 0.3626
Fe31 0.5967 0.2509 0.3610
Fe32 0.6334 0.7472 0.8634
Fe33 0.6578 0.3248 0.6706
Fe34 0.6700 0.6627 0.6704
Fe35 0.6725 0.9799 0.6726
Fe36 0.7145 0.8976 0.4787
Fe37 0.7453 0.8670 0.9797
Fe38 0.7486 0.4003 0.9792
Fe39 0.7957 0.4508 0.2966
Fe40 0.8260 0.8268 0.1733
Fe41 0.8314 0.1639 0.1708
Fe42 0.8394 0.1556 0.8398
Fe43 0.8388 0.4941 0.5014
Fe44 0.8453 0.1545 0.5001
Fe45 0.8623 0.5149 0.0970
Fe46 0.9779 0.6336 0.7455
B1 0.0361 0.6885 0.0354
B2 0.2626 0.4615 0.8077
B3 0.5353 0.1885 0.5338
C1 0.0333 0.2430 0.0321
C2 0.0888 0.1863 0.5319
C3 0.3094 0.9635 0.3093
C4 0.3107 0.4072 0.3106
C5 0.5322 0.7445 0.5310
C6 0.5903 0.6856 0.0322
C7 0.7529 0.9648 0.3107
C8 0.8123 0.4634 0.8096
C9 0.8131 0.9051 0.8107
```

Peak list (12 most intense, 10 to 80 degrees two-theta, low angle first)
index, 2θ/deg, d (Å), I_rel
1 -1 4, 38.25, 2.353, 18.9
3 2 3, 38.36, 2.346, 19.3
-1 2 3, 42.09, 2.147, 28.6
1 3 4, 42.19, 2.142, 15.0
1 -2 3, 44.74, 2.026, 35.3
3 3 0, 44.81, 2.022, 100.0
2 2 6, 44.94, 2.017, 22.3
2 2 -4, 49.00, 1.859, 22.9
0 2 6, 49.10, 1.855, 10.7
1 4 1, 51.38, 1.778, 19.6
4 1 1, 51.51, 1.774, 21.2
3 0 9, 77.04, 1.238, 12.4



# 2
For ErTm5Sc3, the PBE geometry in Alexandria gives the computed X-ray powder pattern in this record (Cu Kα (λ = 1.5418 Å)).
Peak positions follow from Bragg's law for the DFT cell and can differ from measured ones.

Crystal structure
```
data_ErTm5Sc3
_chemical_formula_sum 'Er4 Tm20 Sc12'
_cell_length_a 11.3460
_cell_length_b 11.1591
_cell_length_c 9.4200
_cell_angle_alpha 90.00
_cell_angle_beta 104.52
_cell_angle_gamma 90.00
_symmetry_space_group_name_H-M 'C 1 2/m 1'
## The entry goes on

In the area of fisheries, ICAR developed breeding and seed production technology of 9 food fish species (Cobia, Milkfish, Seabass, Silver pompano, Orange spotted grouper, Pink ear emperor, Long whiskers catfish, Chocolate mahseer, Pangusia labeo,  Putia, Chaguni puti, and Mahanadi rita); the technology of marine cage farming and its dissemination through 1500 cages (principally in Gujrat, Maharashtra, Karnataka, Kerala, TN and AP); 4 feeds for different life stages of important fish and shrimp species and their commercialization, breeding and seed production technology for 9 ornamental fishes and  5 high-value compounds and nutraceuticals for human health (Green mussel extract – CadalminTM GMe for pain & arthritis; Green algal extract – Cadalmin TM GAe for pain & arthritis; Seaweed antidiabetic extract – CadalminTM Ade for type-2 diabetes; Seaweed anti-obesity extract – CadalminTM Ace to combat obesity/dyslipidemia and Seaweed nutraceutical drink – Nutridrink’ for enhancing micronutrients).

/*
# 1
Simulated X-ray diffraction stick pattern of NaCdPO4 for Cu Kα X-rays, from a DFT-relaxed cell (PBE, OQMD).
Peak positions follow from Bragg's law for the DFT cell and can differ from measured ones.

Atomic structure:
```
data_NaCdPO4
_cell_length_a 10.795
_cell_length_b 5.043
_cell_length_c 6.508
_cell_angle_alpha 90.00
_cell_angle_beta 90.00
_cell_angle_gamma 90.00
_symmetry_space_group_name_H-M 'P n a 21'
_symmetry_Int_Tables_number 33
_symmetry_space_group_name_Hall 'P 2c -2n'
loop_
_atom_site_label
_atom_site_type_symbol
_atom_site_fract_x
_atom_site_fract_y
_atom_site_fract_z
Na1 Na 0.002 0.000 0.000
Cd1 Cd 0.215 0.480 0.245
P1 P 0.102 0.429 0.747
O1 O 0.032 0.683 0.249
O2 O 0.102 0.734 0.747
O3 O 0.170 0.306 0.557
O4 O 0.171 0.305 0.935
```

The 12 most intense peaks (10° ≤ 2θ ≤ 90°), by intensity:
2θ/deg	I_rel
23.8	100
33.6	66
30.5	39
27.4	37
48.7	37
16.4	33
33.8	28
46.3	23
32.1	21
52.5	18
36.0	17
52.8	15



# 2
Simulated X-ray diffraction stick pattern of Na2CdS2O8 for Cu Kα X-rays, from a DFT-relaxed cell (PBE, OQMD).
Peak positions follow from Bragg's law for the DFT cell and can differ from measured ones.

Atomic structure:
```
data_Na2CdS2O8
_cell_length_a 9.950
_cell_length_b 8.171
_cell_length_c 8.534
_cell_angle_alpha 90.00
_cell_angle_beta 114.07
_cell_angle_gamma 90.00
_symmetry_space_group_name_H-M 'C 1 2/c 1'
_symmetry_Int_Tables_number 15
_symmetry_space_group_name_Hall '-C 2yc'
loop_
_atom_site_label
_atom_site_type_symbol
_atom_site_fract_x
_atom_site_fract_y
_atom_site_fract_z
Na1 Na 0.136 0.055 0.434
Cd1 Cd 0.000 0.434 0.750
S1 S 0.190 0.287 0.190
O1 O 0.117 0.127 0.132
O2 O 0.137 0.414 0.054
O3 O 0.147 0.225 0.748
O4 O 0.158 0.343 0.339
```

The 12 most intense peaks (10° ≤ 2θ ≤ 90°), by intensity:
2θ/deg	I_rel
14.6	100
22.8	57
28.5	56
32.0	49
29.4	39
30.5	38
23.5	37
29.1	33
45.9	29
44.8	29
33.6	27
37.6	25



# 3
Simulated X-ray diffraction stick pattern of Na2CdTcO6 for Cu Kα X-rays, from a DFT-relaxed cell (PBE, OQMD).
Peak positions follow from Bragg's law for the DFT cell and can differ from measured ones.

Atomic structure:
```
data_Na2CdTcO6
_cell_length_a 5.6875
_cell_length_b 5.6875
_cell_length_c 9.5545
_cell_angle_alpha 90.00
_cell_angle_beta 90.00
_cell_angle_gamma 120.00
_symmetry_space_group_name_H-M 'P -3 1 c'
_symmetry_Int_Tables_number 163
_symmetry_space_group_name_Hall '-P 3 2c'
loop_
_atom_site_label
_atom_site_type_symbol
_atom_site_fract_x
_atom_site_fract_y
_atom_site_fract_z
Na1 Na 0.3333 0.6667 0.0650
Cd1 Cd 0.0000 0.0000 0.2500
Tc1 Tc 0.3333 0.6667 0.7500
O1 O 0.0841 0.3794 0.8654
```

The 12 most intense peaks (10° ≤ 2θ ≤ 90°), by intensity:
2θ/deg	I_rel
20.3	100
31.5	98
36.8	92
18.6	92
49.9	74
33.5	42
26.0	42
56.0	33
67.4	29
46.6	29
57.3	25
59.5	21



# 4
Simulated X-ray diffraction stick pattern of NaCd4P3 for Cu Kα X-rays, from a DFT-relaxed cell (PBE, OQMD).
Peak positions follow from Bragg's law for the DFT cell and can differ from measured ones.

Atomic structure:
```
data_NaCd4P3
*/

To increase productivity, reduce cost of cultivation, reduce drudgery, improve value addition, conserve resources and provide alternate means for energy generation through improve farm mechanisation during the last 3 years, ICAR developed 72 new farm equipment/machines/gadgets and 34 new products/ process protocols and supplied over 16500 prototypes of agricultural machinery to farmers/ entrepreneurs. ICAR trained 710 rural youth for establishing Custom Hiring Centres in different parts of the country out of which 652 entrepreneurs established Custom Hiring Centres. ICAR equipped 194 startup companies and agri-entrepreneurs by providing necessary training and skills to start their new agri-ventures.

ICAR has developed and validated 623 district contingency plans and conducted skill development programs for 40.9 lakh farmers. Mridaprarikshak a minilab for soil analysis developed to support Government’s initiative of Soil Health Card. ICAR has also developed 45 Integrated Farming Systems (IFS) models in 23 states and 1 Union Territory covering all the 15 agro-climatic regions of the country. These models were tested and further validated in the fields of 1250 farmers each under various different agro ecologies covering 23 states of the country.

On the question of whether the Government has developed any mechanism to disseminate information about such innovation/technologies to the farmers, Shri Shekhawat informed that for delivering such benefits, the ICAR has established a network of 690 Krishi Vigyan Kendras (KVKs) in the country, mandated for conducting front line demonstration at the farmer’s field, technology refinement, training and capacity building. The technologies duly tested and refined are thereafter passed on to line departments for large scale demonstration and transfer among farmers.

Highlighting the salient features of the Kisan portal and its advantages to the farmers, Shri Singh informed that in mKishan, around 2.75 crore farmers are registered who are continuously receiving crop specific advisories in their local language on their mobile sets. No internet is required for receiving such advisories. Experts from ICAR, IMD, and State Government down to the block level send crop specific advisories to registered farmers. Apart from mKishan, Kishan Suvidha mobile App has been developed for use of the farmers having smart phones and access to internet. Information about Agro advisory, weather, market price, plant protection etc. are provided to farmers with the click of a button.